== Material ==
'''
No. 1
# H8W3SeN2O12

An optimized crystal structure of H8W3SeN2O12 (PBE with a Hubbard U, the Materials Project).

Unit cell a=7.3492 b=7.3492 c=12.5725 alpha=90.00 beta=90.00 gamma=120.00
Space group P6_3 (No. 173)
One atom of each set of equivalent atoms:
H 0.1805 0.5837 0.0000 [6 per cell]
H 0.2548 0.5117 0.3866 [6 per cell]
H 0.3333 0.6667 0.2774 [2 per cell]
H 0.3333 0.6667 0.8891 [2 per cell]
W 0.1673 0.3389 0.6318 [6 per cell]
Se 0.0000 0.0000 0.4025 [2 per cell]
N 0.3333 0.6667 0.3589 [2 per cell]
N 0.3333 0.6667 0.9716 [2 per cell]
O 0.0846 0.5434 0.5859 [6 per cell]
O 0.1216 0.2491 0.4613 [6 per cell]
O 0.1232 0.2486 0.1421 [6 per cell]
O 0.1998 0.4048 0.7678 [6 per cell]

Calculated values
Its corrected total energy (MP2020 scheme) is -7.039 eV/atom. The calculation puts the largest piezoelectric modulus at 0.923 C/m². The value obtained for the total magnetization is 0.00 μB/cell.

No. 2
# MgVP2O7

An optimized crystal structure of MgVP2O7 (PBE with a Hubbard U, the Materials Project).

Unit cell a=6.7468 b=8.6615 c=4.6415 alpha=90.00 beta=101.69 gamma=90.00
Space group C2 (No. 5)
One atom of each set of equivalent atoms:
Mg 0.0000 0.0000 0.0000 [2 per cell]
V 0.0000 0.3717 0.5000 [2 per cell]
P 0.2110 0.7092 0.9016 [4 per cell]
O 0.0000 0.7611 0.0000 [2 per cell]
O 0.1327 0.1905 0.8083 [4 per cell]
O 0.1969 0.5494 0.7570 [4 per cell]
O 0.2361 0.8486 0.7143 [4 per cell]

Calculated values
Its corrected total energy (MP2020 scheme) is -7.771 eV/atom. The value obtained for the total magnetization is 6.00 μB/cell.

No. 3
# La2VZnO6

An optimized crystal structure of La2VZnO6 (PBE with a Hubbard U, the Materials Project).

Unit cell a=5.6663 b=5.6663 c=13.3954 alpha=90.00 beta=90.00 gamma=120.00
Space group R-3 (No. 148, hexagonal axes)
One atom of each set of equivalent atoms:
La 0.0000 0.0000 0.2492 [6 per cell]
V 0.0000 0.0000 0.0000 [3 per cell]
Zn 0.0000 0.0000 0.5000 [3 per cell]
O 0.0137 0.5856 0.7477 [18 per cell]

Calculated values
Its corrected total energy (MP2020 scheme) is -8.066 eV/atom. The value obtained for the total magnetization is 3.00 μB/cell.

No. 4
# Fe5CoP6O24

An optimized crystal structure of Fe5CoP6O24 (PBE with a Hubbard U, the Materials Project).

Unit cell a=8.6019 b=8.6019 c=20.1935 alpha=90.00 beta=90.00 gamma=120.00
Space group R3 (No. 146, hexagonal axes)
One atom of each set of equivalent atoms:
Fe 0.0000 0.0000 0.0000 [3 per cell]
Fe 0.0000 0.0000 0.1437 [3 per cell]
Fe 0.0000 0.0000 0.3517 [3 per cell]
Fe 0.0000 0.0000 0.4975 [3 per cell]
Fe 0.0000 0.0000 0.6444 [3 per cell]
Co 0.0000 0.0000 0.8585 [3 per cell]
P 0.0352 0.6692 0.9133 [9 per cell]
P 0.0433 0.3747 0.4169 [9 per cell]
O 0.0021 0.1952 0.8129 [9 per cell]
O 0.0029 0.7993 0.3096 [9 per cell]
O 0.0118 0.1790 0.4268 [9 per cell]
O 0.0118 0.8387 0.9240 [9 per cell]
O 0.1396 0.6785 0.8517 [9 per cell]
O 0.1434 0.4622 0.3534 [9 per cell]
O 0.1631 0.6728 0.2365 [9 per cell]
O 0.1663 0.4835 0.7379 [9 per cell]

Calculated values
Its corrected total energy (MP2020 scheme) is -7.806 eV/atom. The value obtained for the total magnetization is 75.00 μB/cell.

No. 5
# V4Ge13O36

An optimized crystal structure of V4Ge13O36 (PBE with a Hubbard U, the Materials Project).

Unit cell a=4.5174 b=2.8969 c=40.7322 alpha=90.00 beta=90.35 gamma=90.00
Space group P2/m (No. 10)
One atom of each set of equivalent atoms:
V 0.0144 0.0000 0.3901 [2 per cell]
V 0.4732 0.5000 0.4524 [2 per cell]
Ge 0.9999 0.0000 0.0555 [2 per cell]
Ge 0.9999 0.0000 0.1666 [2 per cell]
Ge 0.0024 0.0000 0.2772 [2 per cell]
Ge 0.4925 0.5000 0.6679 [2 per cell]
Ge 0.5000 0.5000 0.0000 [1 per cell]
Ge 0.4999 0.5000 0.1111 [2 per cell]
Ge 0.5001 0.5000 0.2219 [2 per cell]
O 0.1832 0.5000 0.5924 [2 per cell]
O 0.1902 0.5000 0.7016 [2 per cell]
O 0.1920 0.5000 0.0342 [2 per cell]
O 0.1918 0.5000 0.1452 [2 per cell]
O 0.1915 0.5000 0.2558 [2 per cell]
O 0.1921 0.5000 0.8121 [2 per cell]
O 0.1920 0.5000 0.9231 [2 per cell]
O 0.1958 0.5000 0.4767 [2 per cell]
'''

== Request ==
Transcribe the notes further above from the first line to the one with "0.2492 [6" with every line break kept, please.

== Written answer ==
No. 1
# H8W3SeN2O12

An optimized crystal structure of H8W3SeN2O12 (PBE with a Hubbard U, the Materials Project).

Unit cell a=7.3492 b=7.3492 c=12.5725 alpha=90.00 beta=90.00 gamma=120.00
Space group P6_3 (No. 173)
One atom of each set of equivalent atoms:
H 0.1805 0.5837 0.0000 [6 per cell]
H 0.2548 0.5117 0.3866 [6 per cell]
H 0.3333 0.6667 0.2774 [2 per cell]
H 0.3333 0.6667 0.8891 [2 per cell]
W 0.1673 0.3389 0.6318 [6 per cell]
Se 0.0000 0.0000 0.4025 [2 per cell]
N 0.3333 0.6667 0.3589 [2 per cell]
N 0.3333 0.6667 0.9716 [2 per cell]
O 0.0846 0.5434 0.5859 [6 per cell]
O 0.1216 0.2491 0.4613 [6 per cell]
O 0.1232 0.2486 0.1421 [6 per cell]
O 0.1998 0.4048 0.7678 [6 per cell]

Calculated values
Its corrected total energy (MP2020 scheme) is -7.039 eV/atom. The calculation puts the largest piezoelectric modulus at 0.923 C/m². The value obtained for the total magnetization is 0.00 μB/cell.

No. 2
# MgVP2O7

An optimized crystal structure of MgVP2O7 (PBE with a Hubbard U, the Materials Project).

Unit cell a=6.7468 b=8.6615 c=4.6415 alpha=90.00 beta=101.69 gamma=90.00
Space group C2 (No. 5)
One atom of each set of equivalent atoms:
Mg 0.0000 0.0000 0.0000 [2 per cell]
V 0.0000 0.3717 0.5000 [2 per cell]
P 0.2110 0.7092 0.9016 [4 per cell]
O 0.0000 0.7611 0.0000 [2 per cell]
O 0.1327 0.1905 0.8083 [4 per cell]
O 0.1969 0.5494 0.7570 [4 per cell]
O 0.2361 0.8486 0.7143 [4 per cell]

Calculated values
Its corrected total energy (MP2020 scheme) is -7.771 eV/atom. The value obtained for the total magnetization is 6.00 μB/cell.

No. 3
# La2VZnO6

An optimized crystal structure of La2VZnO6 (PBE with a Hubbard U, the Materials Project).

Unit cell a=5.6663 b=5.6663 c=13.3954 alpha=90.00 beta=90.00 gamma=120.00
Space group R-3 (No. 148, hexagonal axes)
One atom of each set of equivalent atoms:
La 0.0000 0.0000 0.2492 [6 per cell]